Work order:
Next, transcribe the whole of the calculation results further down unchanged.

Contents:
# 1
47
Properties=species:S:1:pos:R:3:mulliken_charge:R:1 method="wB97M-V/def2-TZVPD" smiles="CCCCOP(=O)(CN1CCOCC1)OCCCC" energy_ev=-32905.9844 homo_energy_ev=-8.111 largest_force_ev_per_a=1.266 de_lowest_ev=0.364 homo_lumo_gap_ev=8.980 lumo_ev=0.87
C 1.82 2.40 -2.49 -0.58
C 3.21 2.66 -1.92 -0.71
C 3.80 1.44 -1.20 -0.68
C 3.04 1.04 0.06 -0.44
O 2.14 -0.03 -0.19 -0.23
P 0.55 0.12 0.07 0.74
O 0.20 1.46 0.58 -0.80
C -0.12 -0.63 -1.50 -1.13
N -1.50 -0.56 -1.85 0.05
C -2.00 0.72 -2.34 -0.72
C -2.51 1.63 -1.22 -0.34
O -3.47 0.97 -0.42 -0.50
C -2.90 -0.19 0.16 -0.27
C -2.44 -1.16 -0.93 -0.82
O 0.23 -1.07 1.11 -0.18
C 0.53 -0.83 2.48 -0.26
C 0.73 -2.15 3.21 -0.83
C -0.57 -2.83 3.65 -0.54
C -1.43 -3.28 2.48 -0.65
H 1.12 2.16 -1.69 -0.02
H 1.46 3.29 -3.01 0.42
H 1.85 1.58 -3.20 0.31
H 3.89 2.94 -2.74 0.35
H 3.17 3.50 -1.23 0.31
H 4.83 1.67 -0.93 0.36
H 3.82 0.58 -1.88 0.28
H 2.48 1.89 0.47 0.42
H 3.74 0.68 0.82 0.38
H 0.16 -1.69 -1.41 0.46
H 0.47 -0.20 -2.31 0.43
H -1.22 1.22 -2.91 0.40
H -2.84 0.49 -3.01 0.33
H -3.02 2.50 -1.64 0.41
H -1.68 1.97 -0.59 0.19
H -3.68 -0.64 0.78 0.41
H -2.05 0.10 0.79 0.21
H -1.98 -2.04 -0.48 0.42
H -3.31 -1.48 -1.51 0.38
H 1.44 -0.22 2.54 0.36
H -0.29 -0.26 2.93 0.27
H 1.35 -1.96 4.09 0.41
H 1.29 -2.82 2.55 0.24
H -0.31 -3.70 4.26 0.33
H -1.13 -2.14 4.28 0.28
H -2.32 -3.78 2.84 0.41
H -0.88 -3.97 1.84 0.28
H -1.73 -2.42 1.88 -0.13

=====

# 2
14
Properties=species:S:1:pos:R:3:mulliken_charge:R:1 method="wB97M-V/def2-TZVPD" smiles="CC(=O)O.O.O" energy_ev=-10394.6033 homo_energy_ev=-10.289 largest_force_ev_per_a=1.421 de_lowest_ev=0.090 homo_lumo_gap_ev=10.941 lumo_ev=0.65
C 0.05 -2.62 0.17 -0.97
C 0.14 -1.12 0.12 0.72
O -0.55 -0.46 -0.68 -0.65
O 1.01 -0.58 0.95 -0.53
H 0.09 -3.00 -0.85 0.29
H 0.93 -3.00 0.70 0.30
H -0.85 -2.89 0.68 0.25
H 0.85 0.46 0.95 0.45
O 0.61 1.91 1.12 -0.65
H 1.26 2.31 0.55 0.36
H -0.22 2.03 0.63 0.40
O -0.96 2.58 -1.18 -0.68
H -0.84 1.62 -1.25 0.39
H -1.55 2.76 -1.91 0.31

=====

# 3
18
Properties=species:S:1:pos:R:3:mulliken_charge:R:1 method="wB97M-V/def2-TZVPD" smiles="CC(N)=O.C=CC" energy_ev=-8899.5921 homo_energy_ev=-8.629 largest_force_ev_per_a=4.557 de_lowest_ev=2.105 homo_lumo_gap_ev=9.457 lumo_ev=0.83
C -1.62 1.10 0.68 -1.15
C -1.51 -0.31 0.14 0.82
N -0.63 -1.12 0.96 -0.46
O -2.40 -0.85 -0.48 -0.57
H -0.64 1.57 0.76 0.29
H -2.25 1.69 0.02 0.31
H -2.07 1.07 1.68 0.37
H -0.75 -2.12 0.82 0.22
H -0.36 -0.79 1.87 0.19
C 0.23 0.00 -1.57 -1.12
C 1.15 -0.56 -0.73 0.42
C 2.17 0.22 0.03 -1.14
H -0.25 -0.59 -2.32 0.32
H 0.23 1.07 -1.72 0.30
H 1.34 -1.63 -0.78 0.30
H 1.93 1.28 0.05 0.29
H 3.15 0.10 -0.45 0.35
H 2.26 -0.14 1.06 0.28

=====

# 4
7
Properties=species:S:1:pos:R:3:mulliken_charge:R:1 method="wB97M-V/def2-TZVPD" energy_ev=-22517.4179 homo_energy_ev=-9.448 largest_force_ev_per_a=4.540 de_lowest_ev=4.427 homo_lumo_gap_ev=7.251 lumo_ev=-2.20
C -2.31 1.20 -0.02 -0.21
C -1.28 0.66 -0.25 -0.56
Si 1.33 -0.78 0.16 0.69
Cl 2.89 0.42 -0.15 -0.11
H -3.21 1.87 0.13 0.31
H 0.81 -1.56 -0.90 -0.05
H 1.77 -1.81 1.02 -0.07

=====

# 5
12
Properties=species:S:1:pos:R:3:mulliken_charge:R:1 method="wB97M-V/def2-TZVPD" smiles="CC(=O)O.C#C" energy_ev=-8337.4764 homo_energy_ev=-10.012 largest_force_ev_per_a=4.299 de_lowest_ev=2.985 homo_lumo_gap_ev=10.673 lumo_ev=0.66
C -0.98 1.17 0.24 -0.89
C -1.01 -0.31 0.04 0.65
O -1.01 -0.90 -1.07 -0.66
O -1.12 -1.00 1.17 -0.42
H -0.45 1.64 -0.60 0.30
H -2.01 1.53 0.27 0.32
H -0.48 1.42 1.17 0.32
H -1.25 -1.93 0.90 0.36
C 1.64 -0.41 -0.90 -0.63
C 2.66 -0.30 -0.25 -0.17
H 0.50 -0.75 -1.37 0.43
H 3.50 -0.18 0.40 0.39

=====

# 6
118
Properties=species:S:1:pos:R:3:mulliken_spin:R:1 method="wB97M-V/def2-TZVPD" s2=0.76 spin_multiplicity=2 total_charge=-2 energy_ev=-142027.4476 homo_energy_ev="-1.559 / -1.559" largest_force_ev_per_a=0.328 de_lowest_ev=0.912 homo_lumo_gap_ev="4.890 / 4.889" lumo_ev="3.33 / 3.33"
Rb 0.16 -1.01 -0.38 0.06
C 1.25 2.86 1.72 0.05
N -0.05 2.31 1.41 -0.01
C -0.75 1.93 2.62 -0.01
C -0.86 3.21 0.60 0.00
C -1.77 2.52 -0.41 -0.01

Outcome:
# 1
47
Properties=species:S:1:pos:R:3:mulliken_charge:R:1 method="wB97M-V/def2-TZVPD" smiles="CCCCOP(=O)(CN1CCOCC1)OCCCC" energy_ev=-32905.9844 homo_energy_ev=-8.111 largest_force_ev_per_a=1.266 de_lowest_ev=0.364 homo_lumo_gap_ev=8.980 lumo_ev=0.87
C 1.82 2.40 -2.49 -0.58
C 3.21 2.66 -1.92 -0.71
C 3.80 1.44 -1.20 -0.68
C 3.04 1.04 0.06 -0.44
O 2.14 -0.03 -0.19 -0.23
P 0.55 0.12 0.07 0.74
O 0.20 1.46 0.58 -0.80
C -0.12 -0.63 -1.50 -1.13
N -1.50 -0.56 -1.85 0.05
C -2.00 0.72 -2.34 -0.72
C -2.51 1.63 -1.22 -0.34
O -3.47 0.97 -0.42 -0.50
C -2.90 -0.19 0.16 -0.27
C -2.44 -1.16 -0.93 -0.82
O 0.23 -1.07 1.11 -0.18
C 0.53 -0.83 2.48 -0.26
C 0.73 -2.15 3.21 -0.83
C -0.57 -2.83 3.65 -0.54
C -1.43 -3.28 2.48 -0.65
H 1.12 2.16 -1.69 -0.02
H 1.46 3.29 -3.01 0.42
H 1.85 1.58 -3.20 0.31
H 3.89 2.94 -2.74 0.35
H 3.17 3.50 -1.23 0.31
H 4.83 1.67 -0.93 0.36
H 3.82 0.58 -1.88 0.28
H 2.48 1.89 0.47 0.42
H 3.74 0.68 0.82 0.38
H 0.16 -1.69 -1.41 0.46
H 0.47 -0.20 -2.31 0.43
H -1.22 1.22 -2.91 0.40
H -2.84 0.49 -3.01 0.33
H -3.02 2.50 -1.64 0.41
H -1.68 1.97 -0.59 0.19
H -3.68 -0.64 0.78 0.41
H -2.05 0.10 0.79 0.21
H -1.98 -2.04 -0.48 0.42
H -3.31 -1.48 -1.51 0.38
H 1.44 -0.22 2.54 0.36
H -0.29 -0.26 2.93 0.27
H 1.35 -1.96 4.09 0.41
H 1.29 -2.82 2.55 0.24
H -0.31 -3.70 4.26 0.33
H -1.13 -2.14 4.28 0.28
H -2.32 -3.78 2.84 0.41
H -0.88 -3.97 1.84 0.28
H -1.73 -2.42 1.88 -0.13

=====

# 2
14
Properties=species:S:1:pos:R:3:mulliken_charge:R:1 method="wB97M-V/def2-TZVPD" smiles="CC(=O)O.O.O" energy_ev=-10394.6033 homo_energy_ev=-10.289 largest_force_ev_per_a=1.421 de_lowest_ev=0.090 homo_lumo_gap_ev=10.941 lumo_ev=0.65
C 0.05 -2.62 0.17 -0.97
C 0.14 -1.12 0.12 0.72
O -0.55 -0.46 -0.68 -0.65
O 1.01 -0.58 0.95 -0.53
H 0.09 -3.00 -0.85 0.29
H 0.93 -3.00 0.70 0.30
H -0.85 -2.89 0.68 0.25
H 0.85 0.46 0.95 0.45
O 0.61 1.91 1.12 -0.65
H 1.26 2.31 0.55 0.36
H -0.22 2.03 0.63 0.40
O -0.96 2.58 -1.18 -0.68
H -0.84 1.62 -1.25 0.39
H -1.55 2.76 -1.91 0.31

=====

# 3
18
Properties=species:S:1:pos:R:3:mulliken_charge:R:1 method="wB97M-V/def2-TZVPD" smiles="CC(N)=O.C=CC" energy_ev=-8899.5921 homo_energy_ev=-8.629 largest_force_ev_per_a=4.557 de_lowest_ev=2.105 homo_lumo_gap_ev=9.457 lumo_ev=0.83
C -1.62 1.10 0.68 -1.15
C -1.51 -0.31 0.14 0.82
N -0.63 -1.12 0.96 -0.46
O -2.40 -0.85 -0.48 -0.57
H -0.64 1.57 0.76 0.29
H -2.25 1.69 0.02 0.31
H -2.07 1.07 1.68 0.37
H -0.75 -2.12 0.82 0.22
H -0.36 -0.79 1.87 0.19
C 0.23 0.00 -1.57 -1.12
C 1.15 -0.56 -0.73 0.42
C 2.17 0.22 0.03 -1.14
H -0.25 -0.59 -2.32 0.32
H 0.23 1.07 -1.72 0.30
H 1.34 -1.63 -0.78 0.30
H 1.93 1.28 0.05 0.29
H 3.15 0.10 -0.45 0.35
H 2.26 -0.14 1.06 0.28

=====

# 4
7
Properties=species:S:1:pos:R:3:mulliken_charge:R:1 method="wB97M-V/def2-TZVPD" energy_ev=-22517.4179 homo_energy_ev=-9.448 largest_force_ev_per_a=4.540 de_lowest_ev=4.427 homo_lumo_gap_ev=7.251 lumo_ev=-2.20
C -2.31 1.20 -0.02 -0.21
C -1.28 0.66 -0.25 -0.56
Si 1.33 -0.78 0.16 0.69
Cl 2.89 0.42 -0.15 -0.11
H -3.21 1.87 0.13 0.31
H 0.81 -1.56 -0.90 -0.05
H 1.77 -1.81 1.02 -0.07

=====

# 5
12
Properties=species:S:1:pos:R:3:mulliken_charge:R:1 method="wB97M-V/def2-TZVPD" smiles="CC(=O)O.C#C" energy_ev=-8337.4764 homo_energy_ev=-10.012 largest_force_ev_per_a=4.299 de_lowest_ev=2.985 homo_lumo_gap_ev=10.673 lumo_ev=0.66
C -0.98 1.17 0.24 -0.89
C -1.01 -0.31 0.04 0.65
O -1.01 -0.90 -1.07 -0.66
O -1.12 -1.00 1.17 -0.42
H -0.45 1.64 -0.60 0.30
H -2.01 1.53 0.27 0.32
H -0.48 1.42 1.17 0.32
H -1.25 -1.93 0.90 0.36
C 1.64 -0.41 -0.90 -0.63
C 2.66 -0.30 -0.25 -0.17
H 0.50 -0.75 -1.37 0.43
H 3.50 -0.18 0.40 0.39

=====

# 6
118
Properties=species:S:1:pos:R:3:mulliken_spin:R:1 method="wB97M-V/def2-TZVPD" s2=0.76 spin_multiplicity=2 total_charge=-2 energy_ev=-142027.4476 homo_energy_ev="-1.559 / -1.559" largest_force_ev_per_a=0.328 de_lowest_ev=0.912 homo_lumo_gap_ev="4.890 / 4.889" lumo_ev="3.33 / 3.33"
Rb 0.16 -1.01 -0.38 0.06
C 1.25 2.86 1.72 0.05
N -0.05 2.31 1.41 -0.01
C -0.75 1.93 2.62 -0.01
C -0.86 3.21 0.60 0.00
C -1.77 2.52 -0.41 -0.01